=====
A relaxed structure of BMoOs2, computed with PBE-GGA.

Cell and atoms, written as POSCAR:
```
BMoOs2
1.0
-0.889 -4.855 -1.184
2.879 -1.480 3.909
-3.260 -3.154 4.500
Mo B Os
2 2 4
direct
0.000 0.000 0.000 Mo
0.750 0.250 0.500 Mo
0.500 0.500 0.000 B
0.250 0.750 0.500 B
0.551 0.125 0.250 Os
0.199 0.625 0.250 Os
0.375 0.449 0.750 Os
0.875 0.801 0.750 Os
```

Energy of formation (eV/atom): 0.8612
SG: I-42d, No. 122

---

A relaxed structure of B2MoOs2, computed with PBE-GGA.

Cell and atoms, written as POSCAR:
```
B2MoOs2
1.0
6.348 0.000 0.000
0.000 6.348 0.000
0.000 0.000 2.793
Mo B Os
2 4 4
direct
0.000 0.000 0.000 Mo
0.500 0.500 0.000 Mo
0.351 0.851 0.000 B
0.851 0.649 0.000 B
0.649 0.149 0.000 B
0.149 0.351 0.000 B
0.149 0.649 0.500 Os
0.649 0.851 0.500 Os
0.851 0.351 0.500 Os
0.351 0.149 0.500 Os
```

Energy of formation (eV/atom): 0.0400
SG: P4/mbm, No. 127

---

A relaxed structure of B2Mo4Os, computed with PBE-GGA.

Cell and atoms, written as POSCAR:
```
B2Mo4Os
1.0
-0.762 3.899 1.402
-0.722 0.661 4.097
5.748 2.395 2.792
B Mo Os
2 4 1
direct
0.110 0.110 0.671 B
0.890 0.890 0.329 B
0.387 0.387 0.840 Mo
0.222 0.222 0.335 Mo
0.778 0.778 0.665 Mo
0.613 0.613 0.160 Mo
0.000 0.000 0.000 Os
```

Energy of formation (eV/atom): 0.3908
SG: R-3m, No. 166

---

A relaxed structure of B2MoPOs, computed with PBE-GGA.

Cell and atoms, written as POSCAR:
```
B2MoPOs
1.0
-3.313 -1.768 0.008
2.248 -4.216 -0.466
0.179 -0.318 3.738
P Mo B Os
1 1 2 1
direct
0.000 0.000 0.000 P
0.000 0.500 0.000 Mo
0.000 0.000 0.500 B
0.500 0.000 0.000 B
0.500 0.500 0.500 Os
```

Energy of formation (eV/atom): 1.5524
SG: P4/mmm, No. 123

---

Sequential density of states at the Fermi level output: 0.308, 0.555, 0.995, 0.730 states/eV per atom
Sequential volume output: 136, 113, 98, 68 Å³ per cell

=====

SrLi4PdPb2, relaxed, DFT PBE-GGA; energy relative to the elements = -0.316 eV per atom
1.0
2.345 1.354 9.197
-2.345 1.354 9.197
0.000 -2.708 9.197
Sr Li Pd Pb
1 4 1 2
Cartesian
0.000 0.000 0.000
0.000 0.000 3.778
0.000 0.000 11.327
0.000 0.000 16.266
0.000 0.000 23.814
0.000 0.000 13.796
0.000 0.000 6.616
0.000 0.000 20.977

=====

*a*
Entry from Alexandria: crystalline NaYAg2 at its relaxed geometry (PBE).

Unit cell a=3.6162 b=3.6162 c=7.4608 alpha=90.00 beta=90.00 gamma=90.00
Space group P4/mmm (No. 123)
Unique sites:
Na (0.0000, 0.0000, 0.0000)
Y (0.0000, 0.0000, 0.5000)
Ag (0.5000, 0.5000, 0.2695)

## Properties
Total moment, μB per formula unit: 0.00

***

*b*
Entry from Alexandria: crystalline NaYAg2 at its relaxed geometry (PBE).

Unit cell a=7.9736 b=7.9736 c=6.2689 alpha=90.00 beta=90.00 gamma=90.00
Space group I-42d (No. 122)
Unique sites:
Na (0.0000, 0.0000, 0.0000)
Y (0.0000, 0.0000, 0.5000)
Ag (0.2355, 0.7500, 0.1250)

## Properties
Total moment, μB per formula unit: 0.00

***

Preferred: *a*; penalty for the next structure: 0.321 eV/atom.

***

*a*
Entry from Alexandria: crystalline NaY2Ag2 at its relaxed geometry (PBE).

Unit cell a=5.0381 b=5.0381 c=11.7044 alpha=90.00 beta=90.00 gamma=90.00
Space group I4/mmm (No. 139)
Unique sites:
Na (0.0000, 0.0000, 0.0000)
Y (0.0000, 0.5000, 0.2500)
Ag (0.0000, 0.0000, 0.3861)

## Properties
Total moment, μB per formula unit: 0.00

***

*b*
Entry from Alexandria: crystalline NaY2Ag2 at its relaxed geometry (PBE).

Unit cell a=8.3763 b=8.3763 c=3.7145 alpha=90.00 beta=90.00 gamma=90.00
Space group P4/mbm (No. 127)
Unique sites:
Na (0.0000, 0.0000, 0.0000)
Y (0.1599, 0.3401, 0.5000)
Ag (0.1316, 0.6316, 0.0000)

## Properties
Total moment, μB per formula unit: 0.00

***

Preferred: *b*; penalty for the next structure: 0.197 eV/atom.

***

*a*
Entry from Alexandria: crystalline NaYZrAg2 at its relaxed geometry (PBE).

Unit cell a=5.1778 b=5.1778 c=5.2847 alpha=90.00 beta=90.00 gamma=90.00
Space group P4/mmm (No. 123)
Unique sites:
Na (0.0000, 0.0000, 0.0000)
Y (0.5000, 0.5000, 0.0000)
Zr (0.0000, 0.0000, 0.5000)
Ag (0.0000, 0.5000, 0.5000)

## Properties
Total moment, μB per formula unit: 0.27

***

*b*
=====
Work out how many lines earlier on have the word "volume" in them; a number is enough.
1